And the password is . . . (so easy to forget)

### Attached: crystal structures
<<<
Model A:
A plane-wave DFT calculation with PBE with a Hubbard U was carried out for a relaxed structure of LiMnP3H10O14.

The structure in POSCAR format:
```
LiMnP3H10O14
1.0
7.3059 0.0000 0.0000
0.6509 10.0232 0.0000
3.3371 4.5890 8.3280
Li Mn P H O
2 2 6 20 28
Direct
0.1278 0.3203 0.3199
0.8722 0.6797 0.6801
0.4424 0.2879 0.8059
0.5576 0.7121 0.1941
0.0087 0.1375 0.1564
0.0883 0.2003 0.6931
0.1680 0.6771 0.0981
0.8320 0.3229 0.9019
0.9117 0.7997 0.3069
0.9913 0.8625 0.8436
0.1869 0.6410 0.4423
0.1969 0.5167 0.7823
0.2003 0.0386 0.3818
0.2408 0.9178 0.5307
0.2931 0.4888 0.5036
0.3730 0.9858 0.1178
0.4057 0.5825 0.7720
0.4215 0.9386 0.2739
0.4272 0.1921 0.3128
0.4807 0.3054 0.1286
0.5193 0.6946 0.8714
0.5728 0.8079 0.6872
0.5785 0.0614 0.7261
0.5943 0.4175 0.2280
0.6270 0.0142 0.8822
0.7069 0.5112 0.4964
0.7592 0.0822 0.4693
0.7997 0.9614 0.6182
0.8031 0.4833 0.2177
0.8131 0.3590 0.5577
0.0038 0.1612 0.2946
0.0170 0.2448 0.5554
0.0520 0.5234 0.2091
0.0886 0.7996 0.1580
0.1201 0.0224 0.7729
0.1294 0.7466 0.9287
0.2039 0.1464 0.0383
0.2713 0.2875 0.6614
0.3040 0.5921 0.4136
0.3104 0.9941 0.4182
0.3319 0.4984 0.7787
0.3866 0.6900 0.0550
0.4244 0.2996 0.2363
0.4600 0.9270 0.1759
0.5400 0.0730 0.8241
0.5756 0.7004 0.7637
0.6134 0.3100 0.9450
0.6681 0.5016 0.2213
0.6896 0.0059 0.5818
0.6960 0.4079 0.5864
0.7287 0.7125 0.3386
0.7961 0.8536 0.9617
0.8706 0.2534 0.0713
0.8799 0.9776 0.2271
0.9114 0.2004 0.8420
0.9480 0.4766 0.7909
0.9830 0.7552 0.4446
0.9962 0.8388 0.7054
```

Properties
The volume is 10.515 Å³ per atom. Its space group is No. 2.



Model B:
A plane-wave DFT calculation with PBE with a Hubbard U was carried out for a relaxed structure of LiMnP3H10O14.

The structure in POSCAR format:
```
LiMnP3H10O14
1.0
7.5072 0.0000 0.0000
0.2943 9.5488 0.0000
2.4941 4.0004 9.0990
Li Mn P H O
2 2 6 20 28
Direct
0.0283 0.3013 0.3756
0.9717 0.6987 0.6244
0.4408 0.5496 0.7228
0.5592 0.4504 0.2772
0.0162 0.1564 0.1356
0.0839 0.1754 0.7136
0.1492 0.6609 0.1143
0.8508 0.3391 0.8857
0.9161 0.8246 0.2864
0.9838 0.8436 0.8644
0.2084 0.9495 0.3582
0.2844 0.5869 0.4458
0.2873 0.3774 0.1553
0.2985 0.4091 0.5396
0.3444 0.0614 0.9674
0.3519 0.2149 0.2362
0.3959 0.8593 0.4937
0.4051 0.9635 0.2505
0.4384 0.7550 0.0176
0.4875 0.1265 0.4021
0.5125 0.8735 0.5979
0.5616 0.2450 0.9824
0.5949 0.0365 0.7495
0.6041 0.1407 0.5063
0.6481 0.7851 0.7638
0.6556 0.9386 0.0326
0.7015 0.5909 0.4604
0.7127 0.6226 0.8447
0.7156 0.4131 0.5542
0.7916 0.0505 0.6418
0.0069 0.1818 0.2712
0.0107 0.1830 0.5864
0.0650 0.5042 0.2099
0.0924 0.7876 0.1754
0.1059 0.0021 0.8198
0.1206 0.7254 0.9529
0.1977 0.1651 0.0315
0.2547 0.2683 0.6891
0.3200 0.4921 0.4355
0.3400 0.9825 0.3376
0.3657 0.6603 0.0914
0.3873 0.3253 0.1971
0.4366 0.8008 0.5851
0.4511 0.9995 0.9456
0.5489 0.0005 0.0544
0.5634 0.1992 0.4149
0.6127 0.6747 0.8029
0.6343 0.3397 0.9086
0.6600 0.0175 0.6624
0.6800 0.5079 0.5645
0.7453 0.7317 0.3109
0.8023 0.8349 0.9685
0.8794 0.2746 0.0471
0.8941 0.9979 0.1802
0.9076 0.2124 0.8246
>>>
### Here the piece continues

The number of logins, codes and passwords we’re expected to remember has gone beyond the ridiculous – but help is at hand

There are three kinds of people in this world: those with numerous unique passwords which they meticulously change periodically for security reasons; those with one password for everything; and those with a few they keep confusing and are forever clicking the “forgot password” button.

Dr John Breslin, senior lecturer in Electronic Engineering and researcher with the Insight Centre for Data Analytics at NUI Galway, has 294 different facilities requiring passwords. "I manage a lot of Twitter accounts, about 30 in all, and am involved with a number of boards, conferences and projects," he says. "Remembering all the different codes is impossible so I use a single login system, 1Password."

This one-stop password consolidator is one of many now being used by those with many alphanumeric strings to remember. RoboForm and LastPass are also popular.

While having almost 300 passwords is not the average person’s routine security soiree, most of us still accumulate a sizeable number.


How many can we actually remember and how?

"There are three broad categories of memory: retrospective, semantic and prospective," explains Dr Kate Irving, lecturer in the Department of Nursing and Human Sciences at DCU. She has only one password for almost everything.

“Memory for numbers and passwords is in the semantic category. But even though the number of passwords one must remember is rising, things are also getting increasingly streamlined and simplified. So we’re not asking our brains to remember as many numbers as we used to. Nobody has to try to remember phone numbers anymore because they’re already in the phone.”

If you have difficulty remembering all those numbers and letters, Irving suggests trying this exercise: “If it’s numbers make them into pictures: 0 is a ball, 1 is a pen, 2 is a swan, 3 is like handcuffs, 4 is a sailboat, and so on. I remember numbers and make stories out of the pictures.”

Then again, the brain can also be overused.

“Use it or lose it is a common cliché about the brain which is a completely overly-simplified message,” she says. “There’s a saying, ‘The brain is like a muscle’. No it’s not. If you put yourself under too much stress, it can have a negative impact and the brain will stop trying to remember things altogether.”

The impact of increasingly ubiquitous technology used to organise our lives is both complex and double-edged.

"Certainly, these issues tax human cognitive load in new and demanding ways that prior generations did not have to deal with," says Brad Love, professor of psychology at the University of Texas. "At the same time, of course, these technologies automate so many things we previously had to accomplish in more effortful ways."

“Our brains are like plasticine,” says Irving. “They can be moulded. And the more you practise playing something, the more natural movements become. Your brain actually physiologically changes as a result of the things we do. So if we no longer try and remember numbers, then there’s an element of our semantic memory were not exercising.”

The middle ground

'''
Compound: Al3FeSi2
Source: Materials Project
Functional: PBE-GGA
Structure: relaxed

a b c (Å): 6.0656 6.0723 9.4836
angles (deg): 90.00 90.00 90.00
Last column: nearest neighbours and their distance in Å.
Sites, in units of the cell vectors:
Al 0.0000 0.0000 0.0000  2 Fe 2.37
Al 0.0000 0.0000 0.5000  2 Fe 2.37
Al 0.1404 0.3664 0.1362  2 Fe 2.56-2.59, 4 Si 2.60-2.77, 3 Al 2.66-2.75
Al 0.1404 0.6336 0.6362  2 Fe 2.56-2.59, 4 Si 2.60-2.77, 3 Al 2.66-2.75
Al 0.3596 0.1336 0.6362  2 Fe 2.56-2.59, 4 Si 2.60-2.77, 3 Al 2.66-2.75
Al 0.3596 0.8664 0.1362  2 Fe 2.56-2.59, 4 Si 2.60-2.77, 3 Al 2.66-2.75
Al 0.5000 0.5000 0.0000  2 Fe 2.37
Al 0.5000 0.5000 0.5000  2 Fe 2.37
Al 0.6404 0.1336 0.8638  2 Fe 2.56-2.59, 4 Si 2.60-2.77, 3 Al 2.66-2.75
Al 0.6404 0.8664 0.3638  2 Fe 2.56-2.59, 4 Si 2.60-2.77, 3 Al 2.66-2.75
Al 0.8596 0.3664 0.3638  2 Fe 2.56-2.59, 4 Si 2.60-2.77, 3 Al 2.66-2.75
Al 0.8596 0.6336 0.8638  2 Fe 2.56-2.59, 4 Si 2.60-2.77, 3 Al 2.66-2.75
Fe 0.0000 0.0112 0.2500  6 Al 2.37-2.59, 4 Si 2.44-2.46
Fe 0.0000 0.9888 0.7500  6 Al 2.37-2.59, 4 Si 2.44-2.46
Fe 0.5000 0.4888 0.7500  6 Al 2.37-2.59, 4 Si 2.44-2.46
Fe 0.5000 0.5112 0.2500  6 Al 2.37-2.59, 4 Si 2.44-2.46
Si 0.1628 0.3288 0.8456  2 Fe 2.44-2.46, 5 Al 2.60-2.72, 1 Si 2.68
Si 0.1628 0.6712 0.3456  2 Fe 2.44-2.46, 5 Al 2.60-2.72, 1 Si 2.68
Si 0.3372 0.1712 0.3456  2 Fe 2.44-2.46, 5 Al 2.60-2.72, 1 Si 2.68
Si 0.3372 0.8288 0.8456  2 Fe 2.44-2.46, 5 Al 2.60-2.72, 1 Si 2.68
Si 0.6628 0.1712 0.1544  2 Fe 2.44-2.46, 5 Al 2.60-2.72, 1 Si 2.68
Si 0.6628 0.8288 0.6544  2 Fe 2.44-2.46, 5 Al 2.60-2.72, 1 Si 2.68
Si 0.8372 0.3288 0.6544  2 Fe 2.44-2.46, 5 Al 2.60-2.72, 1 Si 2.68
Si 0.8372 0.6712 0.1544  2 Fe 2.44-2.46, 5 Al 2.60-2.72, 1 Si 2.68

Properties
Formation energy: -0.232 eV/atom
Crystal system: orthorhombic
Final energy: -128.37 eV for the cell shown
Mass density: 3.669 g cm⁻³
Relative energy among the computed polymorphs: 0.0 kJ per mole of atoms
'''

This reporter is getting mixed messages and his brain is in a confused state. The majority of us

will be careful with a few core passwords such as online banking accounts and work email, and then are fairly blasé with the rest, right?

"There is a growing blur between how I distinguish my personal and work passwords," says Prof Alan Smeaton, director of the Insight Centre for Data Analytics at DCU. He has a few passwords which he often forgets. "My bank account is personal, as is my Facebook. My Twitter is half and half. After that they blend into one as to which is work and which is personal. I have quite a few passwords but I can't remember them all. So for those that I only need occasionally, I just hit the 'forgot your password' button and generate a new one.

“Although I was wary at first, I now use Facebook to log in to other services,” he says. “There is often a single Facebook identifier for many websites for convenience and I have started using it. I’ve made the conscious decision to give away information about myself that’s shared there. I know it and accept it and am happy with that. Some don’t realise the consequences though and just do it without thinking.”

-- Materials data from another source follow --
- - -
Record 1
Below is a relaxed Tb4MgGe4 crystal, with properties calculated at the PBE level.

```
Tb4MgGe4
1.0
7.270 0.000 0.000
0.000 14.667 0.000
0.000 0.000 7.821
Tb Mg Ge
16 4 16
direct
0.012 0.096 0.183
0.012 0.404 0.183
0.170 0.127 0.678
0.170 0.373 0.678
0.330 0.627 0.178
0.330 0.873 0.178
0.488 0.596 0.683
0.488 0.904 0.683
0.512 0.096 0.317
0.512 0.404 0.317
0.670 0.127 0.822
0.670 0.373 0.822
0.830 0.627 0.322
0.830 0.873 0.322
0.988 0.596 0.817
0.988 0.904 0.817
0.160 0.750 0.519
0.340 0.250 0.019
0.660 0.750 0.981
0.840 0.250 0.481
0.023 0.750 0.088
0.169 0.536 0.466
0.169 0.964 0.466
0.214 0.250 0.363
0.286 0.750 0.863
0.331 0.036 0.966
0.331 0.464 0.966
0.477 0.250 0.588
0.523 0.750 0.412
0.669 0.536 0.034
0.669 0.964 0.034
0.714 0.250 0.137
0.786 0.750 0.637
0.831 0.036 0.534
0.831 0.464 0.534
0.977 0.250 0.912
```

Properties
As for the volume: 208.47 Å³/f.u. For the total energy, the calculation gives -183.89 eV for the cell shown. The energy relative to the elements is -708 kJ/mol of formula units. As for the space group: Pnma, No. 62.

Record 2
Below is a relaxed ScGeRu crystal, with properties calculated at the PBE level.

```
ScGeRu
1.0
7.002 0.000 0.000
-3.501 6.064 0.000
0.000 0.000 3.484
Sc Ge Ru
3 3 3
direct
0.000 0.599 0.000
0.401 0.401 0.000
0.599 0.000 0.000
0.000 0.000 0.000
0.333 0.667 0.500
0.667 0.333 0.500
0.000 0.253 0.500
0.253 0.000 0.500
0.747 0.747 0.500
```

Properties
As for the volume: 49.31 Å³/f.u. For the total energy, the calculation gives -67.84 eV for the cell shown. The energy relative to the elements is -230 kJ/mol of formula units. As for the space group: P-62m, No. 189.

Record 3
Below is a relaxed Os2C6SO6 crystal, with properties calculated at the PBE level.

```
Os2C6SO6
1.0
8.572 0.000 0.000
3.445 8.657 0.000
1.005 2.150 14.307
Os C S O
8 24 4 24
direct
0.034 0.190 0.279
0.139 0.035 0.762
0.285 0.742 0.611
0.291 0.694 0.823
0.709 0.306 0.177
0.715 0.258 0.389
0.861 0.965 0.238
0.966 0.810 0.721
0.032 0.383 0.207
0.081 0.839 0.199
0.138 0.705 0.924
0.162 0.213 0.372
0.170 0.656 0.539
0.186 0.211 0.701
0.229 0.032 0.881
0.233 0.074 0.217
0.349 0.475 0.831
0.382 0.822 0.502
0.465 0.544 0.631
0.475 0.661 0.899
0.525 0.339 0.101
0.535 0.456 0.369
0.618 0.178 0.498
0.651 0.525 0.169
0.767 0.926 0.783
0.771 0.968 0.119
0.814 0.789 0.299
0.830 0.344 0.461
0.838 0.787 0.628
0.862 0.295 0.076
0.919 0.161 0.801
0.968 0.617 0.793
0.051 0.994 0.615
0.412 0.850 0.715
0.588 0.150 0.285
0.949 0.006 0.385
0.037 0.501 0.170
0.050 0.712 0.990
0.111 0.602 0.491
0.210 0.758 0.174
0.216 0.317 0.661
0.239 0.231 0.430
0.288 0.032 0.951
0.355 0.005 0.180
0.383 0.341 0.837
0.408 0.359 0.057
0.421 0.575 0.360
0.441 0.872 0.437
0.559 0.128 0.563
0.579 0.425 0.640
0.592 0.641 0.943
0.617 0.659 0.163
0.645 0.995 0.820
0.712 0.968 0.049
0.761 0.769 0.570
0.784 0.683 0.339
0.790 0.242 0.826
0.889 0.398 0.509
0.950 0.288 0.010
0.963 0.499 0.830
```

Properties
- - -

There are numerous alternatives to the traditional way of accessing a secure place, some such as fingerprint, voice recognition and iris imaging, are already in operation.

“Biometrics offers lots of new alternatives,” says Breslin. “You could use the heart beat. Each heart beat is composed of a set of complex signals with a unique pattern for each person.”

Smeaton suggests another possibility. “One of the things that’s hasn’t been exploited is our typing habits,” he says. “Everybody has their own typing style. The keyboard could measure the time down and time up of each finger to the nearest millisecond and that could be used as an identifier.”

While the barrage of passwords we’re now responsible for was probably not envisaged 40-odd years ago, there are points as to why alphanumeric passwords are still the way to go.

“Everything can be cracked except something only stored in a person’s head,” says Breslin.